Wanted:
Your job: duplicate every line further below that contains the word "GGA-PBE".

Source:
'''
(1)
VASP calculation (PBE) on HoIn2Rh3 after structural relaxation.

The calculation puts the formation energy from the elements at -0.66 eV/atom. For the total energy, the calculation gives -6.011 eV/atom. As for the total moment: 0.00 μB/f.u.

The space group is P-3m1 (No. 164) and the conventional cell measures 4.6615, 4.6615 and 5.6637 Å, with angles of 90.00, 90.00 and 120.00 degrees. The asymmetric unit holds Ho at (0.0000, 0.0000, 0.0000), In at (0.3333, 0.6667, 0.6728), Rh at (0.0000, 0.0000, 0.5000) and Rh at (0.3333, 0.6667, 0.1826).



(2)
VASP calculation (PBE) on Ho2In5Rh3 after structural relaxation.

The calculation puts the formation energy from the elements at -0.55 eV/atom. For the total energy, the calculation gives -5.044 eV/atom. As for the total moment: 0.00 μB/f.u.

The space group is Cmc2_1 (No. 36) and the conventional cell measures 4.4154, 26.4263 and 7.2875 Å, with angles of 90.00, 90.00 and 90.00 degrees. The asymmetric unit holds Ho at (0.0000, 0.0265, 0.0000), Ho at (0.0000, 0.3237, 0.8870), In at (0.0000, 0.0972, 0.6110), In at (0.0000, 0.2065, 0.0850), In at (0.0000, 0.2082, 0.6789), In at (0.0000, 0.3736, 0.4520), In at (0.0000, 0.4463, 0.8306), Rh at (0.0000, 0.1108, 0.2286), Rh at (0.0000, 0.2691, 0.3795) and Rh at (0.0000, 0.4571, 0.2164).



(3)
VASP calculation (PBE) on Ho5InRh4 after structural relaxation.

The calculation puts the formation energy from the elements at -0.81 eV/atom. For the total energy, the calculation gives -6.318 eV/atom. As for the total moment: 0.00 μB/f.u.

The space group is P4/mmm (No. 123) and the conventional cell measures 3.4596, 3.4596 and 17.6413 Å, with angles of 90.00, 90.00 and 90.00 degrees. The asymmetric unit holds Ho at (0.0000, 0.0000, 0.0000), Ho at (0.0000, 0.0000, 0.1900), Ho at (0.0000, 0.0000, 0.3786), In at (0.5000, 0.5000, 0.5000), Rh at (0.5000, 0.5000, 0.0948) and Rh at (0.5000, 0.5000, 0.2867).



(4)
VASP calculation (PBE) on Ho2InRh after structural relaxation.

The calculation puts the formation energy from the elements at -0.69 eV/atom. The distance to the lowest polymorph of the same formula comes out at 0.000 eV per atom. For the total energy, the calculation gives -5.506 eV/atom. As for the total moment: 0.00 μB/f.u.

The space group is P4/mmm (No. 123) and the conventional cell measures 3.5157, 3.5157 and 7.4876 Å, with angles of 90.00, 90.00 and 90.00 degrees. The asymmetric unit holds Ho at (0.0000, 0.0000, 0.2171), In at (0.5000, 0.5000, 0.5000) and Rh at (0.5000, 0.5000, 0.0000).

----------

# Er2ScAg

A relaxed Er2ScAg crystal (PBE-GGA, Alexandria).

Results
Final energy = -4.62 eV/atom
Energy relative to the elements = -0.05 eV per atom

Cell lengths 5.2245, 5.2245, 3.6797 Å; angles 90.00, 90.00, 90.00 degrees
Closest atoms and distances in Å follow each position.
Sites, in units of the cell vectors:
Er (0.0000, 0.5000, 0.0000)  4 Sc 3.20, 4 Ag 3.20
Er (0.5000, 0.0000, 0.0000)  4 Sc 3.20, 4 Ag 3.20
Sc (0.0000, 0.0000, 0.5000)  8 Er 3.20
Ag (0.5000, 0.5000, 0.5000)  8 Er 3.20

----------

The following is a DFT calculation (GGA-PBE) of TbHgPdPt after structural relaxation.

Lattice parameters (Å, degrees): 4.814 4.814 4.814 60.00 60.00 60.00
Element x y z (fractional)
Pd1 0.250 0.250 0.250
Tb1 0.000 0.000 0.000
Hg1 0.500 0.500 0.500
Pt1 0.750 0.750 0.750

* total DFT energy (no corrections): -4.77 eV/atom
* energy relative to the elements: -727 meV per atom

---

The following is a DFT calculation (GGA-PBE) of CeU2Ni9 after structural relaxation.

Lattice parameters (Å, degrees): 4.872 4.872 8.689 73.72 73.72 60.00
Each line ends with the local moment (μB).
Element x y z (fractional)
Ce1 0.000 0.000 0.000  0.02
U1 0.858 0.858 0.426  1.46
U2 0.142 0.142 0.574  1.46
Ni1 0.667 0.667 0.999  0.03
Ni2 0.333 0.333 0.001  0.03
Ni3 0.500 0.500 0.500  -0.01
Ni4 0.416 0.416 0.251  -0.02
Ni5 0.916 0.416 0.251  -0.02
Ni6 0.416 0.916 0.251  -0.02
Ni7 0.584 0.584 0.749  -0.02
Ni8 0.584 0.084 0.749  -0.02
Ni9 0.084 0.584 0.749  -0.02
'''

Done:
The following is a DFT calculation (GGA-PBE) of TbHgPdPt after structural relaxation.
The following is a DFT calculation (GGA-PBE) of CeU2Ni9 after structural relaxation.